# File
'''
No. 1
# La3Nd3Tm4 | Alexandria | GGA-PBE | optimized geometry
# Electronic total energy = -4.613 eV/atom
# Density = 7303 kg/m3
data_La3Nd3Tm4
_chemical_formula_sum 'La6 Nd6 Tm8'
_symmetry_space_group_name_H-M 'A m m 2'
_symmetry_Int_Tables_number 38
_cell_length_a 3.6456
_cell_length_b 13.7885
_cell_length_c 13.7971
_cell_angle_alpha 90.00
_cell_angle_beta 90.00
_cell_angle_gamma 90.00
loop_
_symmetry_equiv_pos_as_xyz
'x,y,z'
'-x,-y,z'
'-x,y,z'
'x,-y,z'
'x,y+1/2,z+1/2'
'-x,-y+1/2,z+1/2'
'-x,y+1/2,z+1/2'
'x,-y+1/2,z+1/2'
loop_
_atom_site_label
_atom_site_type_symbol
_atom_site_fract_x
_atom_site_fract_y
_atom_site_fract_z
_atom_site_occupancy
La1 La 0.0000 0.0000 0.0000 1
La2 La 0.5000 0.2486 0.5755 1
Nd1 Nd 0.0000 0.0000 0.6495 1
Nd2 Nd 0.0000 0.1747 0.3251 1
Tm1 Tm 0.5000 0.0000 0.2053 1
Tm2 Tm 0.5000 0.0000 0.4457 1
Tm3 Tm 0.5000 0.1210 0.8230 1

No. 2
# La2Nd7Tm3 | Alexandria | GGA-PBE | optimized geometry
# Excess energy over the best structure of this formula in the dataset = 0 meV per atom
# Density = 7223 kg/m3
data_La2Nd7Tm3
_chemical_formula_sum 'La2 Nd7 Tm3'
_symmetry_space_group_name_H-M 'P 1 2/m 1'
_symmetry_Int_Tables_number 10
_cell_length_a 6.5088
_cell_length_b 3.5875
_cell_length_c 17.7539
_cell_angle_alpha 90.00
_cell_angle_beta 95.73
_cell_angle_gamma 90.00
loop_
_symmetry_equiv_pos_as_xyz
'x,y,z'
'-x,-y,-z'
'-x,y,-z'
'x,-y,z'
loop_
_atom_site_label
_atom_site_type_symbol
_atom_site_fract_x
_atom_site_fract_y
_atom_site_fract_z
_atom_site_occupancy
La1 La 0.0595 0.0000 0.1699 1
Nd1 Nd 0.0000 0.5000 0.5000 1
Nd2 Nd 0.2297 0.0000 0.6696 1
Nd3 Nd 0.2588 0.0000 0.9953 1
Nd4 Nd 0.2802 0.5000 0.3370 1
Tm1 Tm 0.4551 0.5000 0.8417 1
Tm2 Tm 0.5000 0.0000 0.5000 1

No. 3
# La15Nd2Tm2 | Alexandria | GGA-PBE | optimized geometry
# Electronic total energy = -4.655 eV/atom
# Density = 6540 kg/m3
data_La15Nd2Tm2
_chemical_formula_sum 'La45 Nd6 Tm6'
_symmetry_space_group_name_H-M 'R -3 m'
_symmetry_Int_Tables_number 166
_symmetry_space_group_name_Hall '-R 3 2"'
_cell_length_a 11.2387
_cell_length_b 11.2387
_cell_length_c 18.8694
_cell_angle_alpha 90.00
_cell_angle_beta 90.00
_cell_angle_gamma 120.00
loop_
_atom_site_label
_atom_site_type_symbol
_atom_site_fract_x
_atom_site_fract_y
_atom_site_fract_z
_atom_site_occupancy
La1 La 0.0000 0.2946 0.0000 1
La2 La 0.0000 0.5000 0.5000 1
La3 La 0.0406 0.5203 0.1277 1
Nd1 Nd 0.0000 0.0000 0.2983 1
Tm1 Tm 0.0000 0.0000 0.0886 1

No. 4
# La5Nd8Tm | Alexandria | GGA-PBE | optimized geometry
# Electronic total energy = -4.580 eV/atom
# Density = 6642 kg/m3
data_La5Nd8Tm
_chemical_formula_sum 'La10 Nd16 Tm2'
_symmetry_space_group_name_H-M 'I -4'
_symmetry_Int_Tables_number 82
_cell_length_a 9.9106
_cell_length_b 9.9106
_cell_length_c 10.2700
_cell_angle_alpha 90.00
_cell_angle_beta 90.00
_cell_angle_gamma 90.00
loop_
_symmetry_equiv_pos_as_xyz
'x,y,z'
'y,-x,-z'
'-x,-y,z'
'-y,x,-z'
'x+1/2,y+1/2,z+1/2'
'y+1/2,-x+1/2,-z+1/2'
'-x+1/2,-y+1/2,z+1/2'
'-y+1/2,x+1/2,-z+1/2'
loop_
_atom_site_label
_atom_site_type_symbol
_atom_site_fract_x
_atom_site_fract_y
_atom_site_fract_z
_atom_site_occupancy
La1 La 0.0000 0.0000 0.0000 1
La2 La 0.1065 0.2132 0.4196 1
Nd1 Nd 0.0699 0.3308 0.0920 1
Nd2 Nd 0.0790 0.1831 0.7542 1
Tm1 Tm 0.0000 0.5000 0.7500 1

No. 5
# La7NdTm3 | Alexandria | GGA-PBE | optimized geometry
# Excess energy over the best structure of this formula in the dataset = 0 meV per atom
# Density = 6963 kg/m3
data_La7NdTm3
_chemical_formula_sum 'La7 Nd1 Tm3'
_symmetry_space_group_name_H-M 'P -1'
_symmetry_Int_Tables_number 2
_cell_length_a 6.6354
_cell_length_b 6.7747
_cell_length_c 8.9117
_cell_angle_alpha 99.65
_cell_angle_beta 98.97
_cell_angle_gamma 95.37
loop_
_symmetry_equiv_pos_as_xyz
'x,y,z'
'-x,-y,-z'
loop_
_atom_site_label
_atom_site_type_symbol
_atom_site_fract_x
_atom_site_fract_y
_atom_site_fract_z
_atom_site_occupancy
La1 La 0.0000 0.0000 0.0000 1
La2 La 0.0453 0.7083 0.6436 1
La3 La 0.2121 0.2220 0.7078 1
La4 La 0.4813 0.7372 0.9092 1
Nd1 Nd 0.0000 0.5000 0.0000 1
'''

# What to do
Your job: copy the whole of the contents above exactly.

# Completed
No. 1
# La3Nd3Tm4 | Alexandria | GGA-PBE | optimized geometry
# Electronic total energy = -4.613 eV/atom
# Density = 7303 kg/m3
data_La3Nd3Tm4
_chemical_formula_sum 'La6 Nd6 Tm8'
_symmetry_space_group_name_H-M 'A m m 2'
_symmetry_Int_Tables_number 38
_cell_length_a 3.6456
_cell_length_b 13.7885
_cell_length_c 13.7971
_cell_angle_alpha 90.00
_cell_angle_beta 90.00
_cell_angle_gamma 90.00
loop_
_symmetry_equiv_pos_as_xyz
'x,y,z'
'-x,-y,z'
'-x,y,z'
'x,-y,z'
'x,y+1/2,z+1/2'
'-x,-y+1/2,z+1/2'
'-x,y+1/2,z+1/2'
'x,-y+1/2,z+1/2'
loop_
_atom_site_label
_atom_site_type_symbol
_atom_site_fract_x
_atom_site_fract_y
_atom_site_fract_z
_atom_site_occupancy
La1 La 0.0000 0.0000 0.0000 1
La2 La 0.5000 0.2486 0.5755 1
Nd1 Nd 0.0000 0.0000 0.6495 1
Nd2 Nd 0.0000 0.1747 0.3251 1
Tm1 Tm 0.5000 0.0000 0.2053 1
Tm2 Tm 0.5000 0.0000 0.4457 1
Tm3 Tm 0.5000 0.1210 0.8230 1

No. 2
# La2Nd7Tm3 | Alexandria | GGA-PBE | optimized geometry
# Excess energy over the best structure of this formula in the dataset = 0 meV per atom
# Density = 7223 kg/m3
data_La2Nd7Tm3
_chemical_formula_sum 'La2 Nd7 Tm3'
_symmetry_space_group_name_H-M 'P 1 2/m 1'
_symmetry_Int_Tables_number 10
_cell_length_a 6.5088
_cell_length_b 3.5875
_cell_length_c 17.7539
_cell_angle_alpha 90.00
_cell_angle_beta 95.73
_cell_angle_gamma 90.00
loop_
_symmetry_equiv_pos_as_xyz
'x,y,z'
'-x,-y,-z'
'-x,y,-z'
'x,-y,z'
loop_
_atom_site_label
_atom_site_type_symbol
_atom_site_fract_x
_atom_site_fract_y
_atom_site_fract_z
_atom_site_occupancy
La1 La 0.0595 0.0000 0.1699 1
Nd1 Nd 0.0000 0.5000 0.5000 1
Nd2 Nd 0.2297 0.0000 0.6696 1
Nd3 Nd 0.2588 0.0000 0.9953 1
Nd4 Nd 0.2802 0.5000 0.3370 1
Tm1 Tm 0.4551 0.5000 0.8417 1
Tm2 Tm 0.5000 0.0000 0.5000 1

No. 3
# La15Nd2Tm2 | Alexandria | GGA-PBE | optimized geometry
# Electronic total energy = -4.655 eV/atom
# Density = 6540 kg/m3
data_La15Nd2Tm2
_chemical_formula_sum 'La45 Nd6 Tm6'
_symmetry_space_group_name_H-M 'R -3 m'
_symmetry_Int_Tables_number 166
_symmetry_space_group_name_Hall '-R 3 2"'
_cell_length_a 11.2387
_cell_length_b 11.2387
_cell_length_c 18.8694
_cell_angle_alpha 90.00
_cell_angle_beta 90.00
_cell_angle_gamma 120.00
loop_
_atom_site_label
_atom_site_type_symbol
_atom_site_fract_x
_atom_site_fract_y
_atom_site_fract_z
_atom_site_occupancy
La1 La 0.0000 0.2946 0.0000 1
La2 La 0.0000 0.5000 0.5000 1
La3 La 0.0406 0.5203 0.1277 1
Nd1 Nd 0.0000 0.0000 0.2983 1
Tm1 Tm 0.0000 0.0000 0.0886 1

No. 4
# La5Nd8Tm | Alexandria | GGA-PBE | optimized geometry
# Electronic total energy = -4.580 eV/atom
# Density = 6642 kg/m3
data_La5Nd8Tm
_chemical_formula_sum 'La10 Nd16 Tm2'
_symmetry_space_group_name_H-M 'I -4'
_symmetry_Int_Tables_number 82
_cell_length_a 9.9106
_cell_length_b 9.9106
_cell_length_c 10.2700
_cell_angle_alpha 90.00
_cell_angle_beta 90.00
_cell_angle_gamma 90.00
loop_
_symmetry_equiv_pos_as_xyz
'x,y,z'
'y,-x,-z'
'-x,-y,z'
'-y,x,-z'
'x+1/2,y+1/2,z+1/2'
'y+1/2,-x+1/2,-z+1/2'
'-x+1/2,-y+1/2,z+1/2'
'-y+1/2,x+1/2,-z+1/2'
loop_
_atom_site_label
_atom_site_type_symbol
_atom_site_fract_x
_atom_site_fract_y
_atom_site_fract_z
_atom_site_occupancy
La1 La 0.0000 0.0000 0.0000 1
La2 La 0.1065 0.2132 0.4196 1
Nd1 Nd 0.0699 0.3308 0.0920 1
Nd2 Nd 0.0790 0.1831 0.7542 1
Tm1 Tm 0.0000 0.5000 0.7500 1

No. 5
# La7NdTm3 | Alexandria | GGA-PBE | optimized geometry
# Excess energy over the best structure of this formula in the dataset = 0 meV per atom
# Density = 6963 kg/m3
data_La7NdTm3
_chemical_formula_sum 'La7 Nd1 Tm3'
_symmetry_space_group_name_H-M 'P -1'
_symmetry_Int_Tables_number 2
_cell_length_a 6.6354
_cell_length_b 6.7747
_cell_length_c 8.9117
_cell_angle_alpha 99.65
_cell_angle_beta 98.97
_cell_angle_gamma 95.37
loop_
_symmetry_equiv_pos_as_xyz
'x,y,z'
'-x,-y,-z'
loop_
_atom_site_label
_atom_site_type_symbol
_atom_site_fract_x
_atom_site_fract_y
_atom_site_fract_z
_atom_site_occupancy
La1 La 0.0000 0.0000 0.0000 1
La2 La 0.0453 0.7083 0.6436 1
La3 La 0.2121 0.2220 0.7078 1
La4 La 0.4813 0.7372 0.9092 1
Nd1 Nd 0.0000 0.5000 0.0000 1